Monthly Archives: May 2004

Surprise, Surprise

The Washington Post’s Jim VandeHei, teaming in this report with Dana Milbank [Correction: In the original post, I incorrectly identified the co-writer as Dana Priest, another Post writer and of another gender], presents a truly objective account of the Bush ad campaign without being slave to what New York Times columnist Paul Krugman recently called “the tyranny of evenhandedness.”

In a story headlined “From Bush, Unprecedented Negativity,” the reporters described “a typical week in the life of the Bush reelection machine,” recounting several charges leveled by Vice President Dick Cheney, several broadcast and cable TV ads and campaign HQ memos to reporters. Then, in the sixth paragraph, they write:

The charges were all tough, serious — and wrong, or at least highly misleading.

### Next to the piece, the page also holds records of molecules
one.
Entry from the OMol25 dataset: a cluster of 2 separate species, C3H9NO4 in total (ωB97M-V/def2-TZVPD).

Cartesian coordinates (Å):
O: -2.117 1.691 1.077
C: -1.452 0.785 0.670
O: -1.868 -0.177 -0.182
C: -0.012 0.553 1.138
C: 1.039 0.947 0.027
O: 0.712 0.501 -1.293
N: 0.375 -0.689 1.712
H: -2.783 -0.109 -0.476
H: 0.113 1.391 1.832
H: 2.002 0.464 0.154
H: 1.147 2.031 0.093
H: -0.105 0.853 -1.603
H: 0.565 -1.416 1.032
H: -0.201 -1.109 2.430
H: 0.875 -2.520 -1.681
H: 0.865 -1.120 -2.380
O: 0.846 -2.073 -2.549

Charge ... 0
SMILES string ... N[C@@H](CO)C(=O)O.O
Orbital gap ... 10.20 eV

---

two.
Entry from the OMol25 dataset: a cluster of 2 separate species, C3H9NO4 in total (ωB97M-V/def2-TZVPD).

Cartesian coordinates (Å):
C: -0.177 1.145 1.075
N: -0.358 1.863 -0.072
O: 1.163 0.176 1.249
O: -1.121 0.178 1.219
O: 0.013 1.970 2.146
H: -0.689 -0.539 1.709
H: 0.432 1.386 2.816
H: 1.983 0.596 0.959
H: -0.599 1.329 -0.900
H: 0.265 2.645 -0.191
C: 0.470 -1.765 -1.357
C: -0.917 -1.250 -1.561
O: -1.186 -0.179 -2.049
H: -1.728 -1.912 -1.204
H: 0.511 -2.846 -1.464
H: 1.166 -1.279 -2.039
H: 0.771 -1.518 -0.334

Charge ... 0
SMILES string ... NC(O)(O)O.CC=O
Orbital gap ... 10.64 eV

---

three.
Entry from the OMol25 dataset: a structure of composition C3H9NO4 (ωB97M-V/def2-TZVPD).

Cartesian coordinates (Å):
O: 0.579 -1.963 1.379
C: 0.397 -1.576 0.209
O: 1.569 -1.732 -0.593
C: -0.004 -0.007 -0.045
C: -1.076 0.416 0.952
O: -1.146 1.796 1.059
N: -0.262 0.247 -1.398
H: -0.468 -2.100 -0.284
H: 0.948 0.499 0.163
H: -0.789 -0.053 1.888
H: -2.013 0.020 0.589
H: -0.624 2.092 0.220
H: 2.165 -2.291 -0.075
H: -0.126 1.287 -1.571
H: -1.174 -0.054 -1.730
H: 0.234 3.096 -1.497
O: -0.041 2.242 -1.158

Charge ... 0
Orbital gap ... 6.56 eV

---

Which one is most stable, and which one is least stable? one is the most stable of them, while three is the least stable.

---

one.
Entry from the OMol25 dataset: a cluster of 11 separate species, C18H40BBr14N3O8 in total (ωB97M-V/def2-TZVPD).

Cartesian coordinates (Å):
N: 4.072 5.181 0.553
H: 3.598 4.945 1.422
H: 4.657 4.409 0.238
H: 4.592 6.016 0.832
H: 3.376 5.455 -0.148
N: -5.799 -3.370 4.883
H: -5.864 -3.536 3.865
H: -5.753 -2.358 4.984
H: -4.913 -3.790 5.183
H: -6.665 -3.614 5.363
N: -4.214 1.918 4.137
H: -4.174 1.241 3.364
H: -4.415 1.346 4.958
H: -4.961 2.585 3.931
H: -3.356 2.453 4.250
O: -1.298 0.699 -1.319
C: -1.882 0.403 -0.332
O: -2.090 -0.785 0.209
B: -2.805 -0.673 1.466
O: -3.060 0.776 1.657
C: -2.405 1.422 0.676
O: -2.253 2.599 0.582
O: -4.075 -1.447 1.267
C: -4.099 -2.453 2.122
O: -4.970 -3.265 2.292
C: -2.887 -2.260 3.082
O: -2.193 -1.235 2.684
O: -2.660 -2.920 4.049
Br: 0.938 5.567 -5.398
C: 1.829 6.913 -4.286
C: 2.568 6.070 -3.292
Br: 3.575 7.196 -2.055
H: 1.083 7.598 -3.889
H: 2.487 7.528 -4.897
H: 3.168 5.329 -3.818
H: 1.861 5.449 -2.743
Br: 1.848 -4.811 -0.083
C: 2.506 -3.239 0.911
C: 2.169 -1.928 0.167
Br: 2.881 -0.343 1.156
H: 3.588 -3.316 0.977
H: 2.036 -3.203 1.890
H: 1.093 -1.838 0.058

…Scholars and political strategists say the ferocious Bush assault on Kerry this spring has been extraordinary, both for the volume of attacks and for the liberties the president and his campaign have taken with the facts. Though stretching the truth is hardly new in a political campaign, they say the volume of negative charges is unprecedented — both in speeches and in advertising.
Three-quarters of the ads aired by Bush’s campaign have been attacks on Kerry. Bush so far has aired 49,050 negative ads in the top 100 markets, or 75 percent of his advertising. Kerry has run 13,336 negative ads — or 27 percent of his total. The figures were compiled by The Washington Post using data from the Campaign Media Analysis Group of the top 100 U.S. markets. Both campaigns said the figures are accurate.

…Bush has outdone Kerry in the number of untruths, in part because Bush has leveled so many specific charges (and Kerry has such a lengthy voting record), but also because Kerry has learned from the troubles caused by Al Gore’s misstatements in 2000. “The balance of misleading claims tips to Bush,” Jamieson said, “in part because the Kerry team has been more careful.”

The journalists report on some of the distortions emanating from the Kerry campaign, but as the figures cited above suggest, they are less frequent. Moreover, when the Bush operatives are challenged, they simply ignore reporters.

One constant theme of the Bush campaign is that Kerry is “playing politics” with Iraq, terrorism and national security. Earlier this month, Bush-Cheney Chairman Marc Racicot told reporters in a conference call that Kerry suggested in a speech that 150,000 U.S. troops are “universally responsible” for the misdeeds of a few soldiers at Iraq’s Abu Ghraib prison — a statement the candidate never made. In that one call, Racicot made at least three variations of this claim and the campaign cut off a reporter who challenged him on it.

VandeHei and Milbank describe charges that they say are rooted in truth but bent nearly 180 degrees.

On March 30, the Bush team released an ad noting that Kerry “supported a 50-cent-a-gallon gas tax” and saying, “If Kerry’s tax increase were law, the average family would pay $657 more a year.” But Kerry opposes an increase in the gasoline tax. The ad is based on a 10-year-old newspaper quotation of Kerry but implies that the proposal is current.
Other Bush claims, though misleading, are rooted in facts. For example, Cheney’s claim in almost every speech that Kerry “has voted some 350 times for higher taxes” includes any vote in which Kerry voted to leave taxes unchanged or supported a smaller tax cut than some favored.

…The strategy was in full operation last week, beginning Monday in Arkansas. “Senator Kerry,” Cheney said, “has questioned whether the war on terror is really a war at all. He said, quote, ‘I don’t want to use that terminology.’ In his view, opposing terrorism is far less of a military operation and more of a law enforcement operation.”

But Kerry did not say what Cheney attributes to him. The quote Cheney used came from a March interview with the New York Times, in which Kerry used the phrase “war on terror.” When he said “I don’t want to use that terminology,” he was discussing the “economic transformation” of the Middle East — not the war on terrorism.

The reporters also document cases where quotes used in Bush’s campaign ads are “from editorials, sometimes from opinion pages hostile toward Kerry, such as that of the Wall Street Journal.”

It is doubtful that this report on the front page above the fold of one of the nation’s leading newspapers will change the Bush strategy. With the advertising and PR strategies of the Bush campaign, it’s hard to draw any conclusion other than our political discourse has deteriorated to the point where politicians will unabashedly lie, knowing that the truth – or humiliation in the press – cannot reverse the impressions such lies make.

If Special Counsel for the Army Joseph N. Welch, were he instead of directing his question to Sen. Joe McCarthy more than 50 years ago, be asking of the Bush ad campaign, “Have you know sense of decency,” it’s doubtful we would remember it as a seminal moment in political history.

O Really O’Reilly

Attached: molecular data =
Record 1
Computed, not measured: the molecule C5H8O2, with ωB97M-V with the def2-TZVPD basis set.

Last columns: bonded neighbours and bond lengths (Å).
Cartesian coordinates (Å):
1 C 2.3284 0.3176 -0.1677  C8 1.207, H13 1.063
2 C -0.1943 -0.4291 -0.2553  C7 1.543, C8 1.489, C9 1.521, O15 1.401
3 H -0.0460 1.0998 1.2603  C7 1.098
4 O -0.4447 1.9412 -0.6205  C7 1.417, H11 0.971
5 H -1.7010 0.8725 0.5651  C7 1.094
6 H -0.8102 0.3347 -1.8780  O15 0.974
7 C -0.6296 0.9227 0.3477  C2 1.543, H3 1.098, O4 1.417, H5 1.094
8 C 1.2813 -0.2531 -0.3560  C1 1.207, C2 1.489
9 C -0.5766 -1.6005 0.6370  C2 1.521, H10 1.095, H12 1.093, H14 1.092
10 H -0.3796 -2.5673 0.1630  C9 1.095
11 H 0.5116 2.0806 -0.7163  O4 0.971
12 H -1.6443 -1.5602 0.8682  C9 1.093
13 H 3.1433 0.9544 0.0798  C1 1.063
14 H -0.0165 -1.5507 1.5734  C9 1.092
15 O -0.8219 -0.5627 -1.5006  C2 1.401, H6 0.974

The calculation puts the total energy at -9407.3106 eV. The value obtained for the orbital gap is 0.407 hartree. Its SMILES is C#C[C@](C)(O)CO. The energy relative to the best compared isomer or geometry (same formula, charge and spin) is 243.3 kJ/mol. The calculation puts the HOMO energy at -10.28 eV.

***

Record 2
Computed, not measured: the molecule C5H8O2, with ωB97M-V with the def2-TZVPD basis set.

Last columns: bonded neighbours and bond lengths (Å).
Cartesian coordinates (Å):
1 H -2.2409 -1.1242 -0.8574  C9 1.095
2 H 1.3060 -1.6667 0.1542  C14 1.088
3 H -0.2818 1.7734 -1.3833  O12 1.086
4 O 1.1397 1.3710 -1.2717  C5 1.288
5 C 0.7245 0.3307 -0.6350  O4 1.288, C13 1.442, C14 1.488, C15 1.731
6 H 0.1249 -0.1508 1.7816  C15 1.085
7 H -2.3112 -0.3682 0.7362  C9 1.094
8 H -1.0947 -1.6299 0.4043  C9 1.092
9 C -1.6306 -0.7771 -0.0169  H1 1.095, H7 1.094, H8 1.092, C13 1.490
10 H 1.3180 1.2037 1.3957  C15 1.085
11 H 2.6317 -0.4250 -0.0049  C14 1.085
12 O -1.2232 1.3377 -1.0624  H3 1.086, C13 1.292
13 C -0.7114 0.2842 -0.5166  C5 1.442, C9 1.490, O12 1.292
14 C 1.5727 -0.6116 0.1437  H2 1.088, C5 1.488, H11 1.085, C15 1.489
15 C 0.8440 0.2764 1.0910  C5 1.731, H6 1.085, H10 1.085, C14 1.489

The calculation puts the total energy at -9407.3986 eV. The value obtained for the orbital gap is 0.341 hartree. The energy relative to the best compared isomer or geometry (same formula, charge and spin) is 234.8 kJ/mol. The calculation puts the HOMO energy at -8.42 eV.

~~~~~

10 unconnected molecules or ions with the total composition C6H32NO10 in a non-equilibrium geometry, computed with ωB97M-V with the def2-TZVPD basis set.

Energy above the lowest of the compared OMol25 structures with the same formula, charge and spin in eV: 4.422
Frontier orbital gap in eV: 8.40
Strongest force on any atom in eV Å⁻¹: 7.72
Calculated total energy in Ha: -1054.88671
HOMO energy in Ha: -0.214

Geometry as ORCA input:
```
! RIJCOSX wB97M-V def2-TZVPD def2/J DEFGRID3
* xyz -1 1
H -0.059 2.130 -1.452
C -0.192 -2.963 1.173
H 0.357 -0.464 1.578
C -1.018 -1.712 0.763
C -1.762 -2.096 -0.471
H -1.793 -1.305 1.579

Washington Post columnist and Brookings Institution fellow E. J. Dionne is considered by many liberals to be moderate, yet he is often paired with conservatives in point/counterpoint type discussions. He regularly appears with David Brooks, a moderate conservative, who writes op-eds for the New York Times.

Dionne has written a new book Stand Up and Fight Back (not to be confused with James Carville’s book Had Enough? : A Handbook for Fighting Back. In an excerpt, Dionne takes on the myth of the liberal media.

One of the most successful conservative tactics in the media war has been to compare conservative media institutions with neutral media institutions and declare that because the neutral institutions are not conservative, they must be liberal.

…Though one could wish that [the] Fox [News Network] would not try to claim that it is “fair and balanced,” there is nothing wrong with having a conservative network. But it would be better for democracy if Fox were balanced by a comparably liberal network. Conservatives claim that there is a “liberal” alternative and that it’s CNN. This claim is silly. There is not a single program on CNN that can be seen as liberal in the way that, for example, Bill O’Reilly’s program is conservative.

Dionne goes on to provide some useful history of how the whole myth of a liberal media started, how it was nurtured by conservatives, and how it was cowardly accepted by major media outlets.

Four Reasons for a Cowardly Press

Paul Krugman at the New York Times provides reasons for the pass Bush has had from the press for most of his tenure:

*Misplaced patriotism
*Tyranny of evenhandedness
*Incredulity that Bush would really be so dishonest

The GOP, Brought to You By…

This note from ABC’s The Note:

On to that Republican convention: the ink is still drying, but the deal is done. Time Warner (parent company of CNN, TIME Magazine, and other fine media outlets) is set to become one of the official sponsors of the Republican National Convention.

The New York Host Committee is set to announce today that Time Warner will host the welcoming party for the thousands of journalists descending upon Gotham to cover the GOP bash. Get out your blackberries and palm pilots — Saturday Aug. 28, 2004 at the swanky new Time Warner Center at Columbus Circle (with Per Se back up and running).

A major news organization sponsoring a political convention? What liberal media indeed. (Thanks to a reader for passing this one.)

Franken Beats Limbaugh

My headline may turn out to be as bad as “Dewey Beats Truman,” but the numbers, though only preliminary and “extrapolations,” indicate Al Franken’s liberal talk show is competing effectively with Rush Limbaugh and might be beating him in the demographic advertisers most covet.

Post from the Middle East

A friend has been in the Middle East theatre for nearly a year and occasionally sends letters to us “Amigos” back home. With specific identifying information removed, here’s his latest post.

Is Virginia In Play?

Gov. Mark Warner may have accomplished more than raised a few bucks for services for Virginians. He might have also made their vote count.

Sen. John Kerry’s campaign announced it is buying TV ads in the Old Dominion. No word on how much he’ll spend, but that he is spending a dime is a surprise to some. Bush won the state by 8 points in 2000.

But since then Warner, a Democrat, has not only passed a major tax increase, he’s done it with a 2-1 Republican majority in both houses of the General Assembly. A grassroots campaign that saw hundreds of people at each of dozens of public meetings throughout the state plead for more funding for education and social and medical services helped turn the tide – or at least 17 Republican House delegates to vote for a sales tax increase and other taxes that will raise $1.6 billion in new revenue over the next biennium. Indeed, his major ally was the Republican Senate Majority Leader John Chichester.

But there have been other changes since 2000. Fairfax County is home to one of every seven voters in Virginia, a candidate for statewide office told me today. The county elected a solid Democratic county board of supervisors in 2003. Every candidate who had signed a no-tax pledge in the county lost.

Fairfax, widely recognized as one of the most attractive places to live in the county due in part to its school system, also enjoys low unemployment because of the plethora of government business. Neighboring Loudoun County, the fastest growing county in the nation, is more of a mix bag politically, voting for county officials who sought to control growth four years ago only to see most of them lose to Republicans in the ’03 elections. The inner suburbs of Alexandria and Arlington are solidly Democratic.

Richmond and the coastal Tidewater areas are also experiencing “big city” issues and have been sympathetic to some Democratic candidates. The presumptive Democratic candidate for governor in the ’05 election is Lt. Gov. Tim Kaine, a former Richmond mayor. And word is moderate Republicans in the Tidewater area are contemplating primary challenges to the conservatives that fought the tax increases. The Republican treasurer of Virginia Beach even went so far as to put an ad in the local paper seeking moderate Republicans to run.

Kerry may also have put the Southern portions of the state in play by favoring a tobacco quota buyout sought by many tobacco farmers. Bush has said he’s not in favor of it. Also rural Virginians are feeling the effects of the recession. Many of their jobs are the kind that are going overseas (textiles) or dying a slow death (tobacco).

Meanwhile, of course, Bush has screwed up most everything he’s touched, so there is more fertile ground than once thought.

Kerry has also run ads in Colorado and Louisiana, two states in which he wasn’t expected to compete. But he must know something — or perhaps just have some Commonwealth Commonsense. The Bush campaign immediately bought ads in those states to counter Kerry’s. No word on whether Bush plans to run ads in Virginia.

Here the page breaks off for molecular data.
+++
[1]
C31H42BrCl3InN4O6SSi | ωB97M-V/def2-TZVPD

Positions of all 90 atoms, in Å:
In 0.4203 -0.4405 -1.3136
C -1.2530 -4.6139 1.0980
O -0.0720 -3.9340 1.5809
C 0.3187 -2.9017 0.8587
O -0.2358 -2.5201 -0.1611
N 1.4294 -2.3172 1.3696
N 1.8982 -1.1798 0.7195
H -1.3689 -5.4773 1.7428
H -1.1149 -4.9157 0.0626
H -2.1147 -3.9551 1.1749
H 1.7910 -2.6068 2.2644
H 2.8691 -1.2960 0.4553
H 1.7636 -0.3530 1.2924
O 2.8388 -8.2001 -3.2723
C 3.7722 -7.2939 -3.6310
O 4.7311 -7.6225 -4.2636
C 3.5298 -5.8763 -3.1995
C 2.8723 -5.5531 -2.0183
C 2.6815 -4.2272 -1.6691
C 3.1635 -3.2136 -2.4868
C 3.8174 -3.5368 -3.6743
C 4.0073 -4.8609 -4.0207
N 2.9420 -1.8747 -2.0743
C 3.8257 -1.0014 -2.3121
C 3.6501 0.4174 -1.9391
C 4.6924 1.3029 -2.1580
C 4.5467 2.6296 -1.7821
C 3.3584 3.0245 -1.1956
C 2.3540 2.0828 -1.0289
N 2.4902 0.8058 -1.3884
H 2.0763 -7.7678 -2.8706
H 2.5263 -6.3323 -1.3488
H 2.1755 -3.9642 -0.7501
H 4.1522 -2.7551 -4.3446
H 4.5260 -5.1272 -4.9319
H 4.7854 -1.2481 -2.7737
H 5.6096 0.9488 -2.6097
H 5.3504 3.3359 -1.9411
H 3.2003 4.0424 -0.8663
H 1.4085 2.3360 -0.5709
C -5.2438 0.3542 4.0134
C -4.8027 1.7010 3.4233
C -5.9239 2.2572 2.5343
C -4.5712 2.6829 4.5725
C -3.5404 1.4907 2.5876
C -3.5808 0.6994 1.4515
C -2.4309 0.4999 0.7159
Br -2.6082 -0.5581 -0.8606
C -1.1747 1.0392 1.0280
O -0.0855 0.8275 0.2858
C -1.1335 1.8612 2.1841
C -2.3088 2.0504 2.9104
C 0.1278 2.6393 2.6090
C 1.3992 1.7789 2.6314
C 0.3191 3.8019 1.6213
C -0.0041 3.2382 4.0170
H -6.1491 0.4799 4.6112
H -4.4638 -0.0598 4.6556
H -5.4577 -0.3734 3.2283
H -6.8220 2.4329 3.1294
H -6.1881 1.5654 1.7331
H -5.6234 3.2042 2.0811
H -5.5053 2.8272 5.1174
H -4.2457 3.6597 4.2080
H -3.8302 2.3103 5.2826
H -4.5003 0.2300 1.1264
H -2.2608 2.6739 3.7868
H 1.6680 1.4632 1.6289
H 1.2637 0.9030 3.2730
H 2.2285 2.3641 3.0342
H 0.3826 3.4363 0.5942
H 1.2277 4.3639 1.8555
H -0.5304 4.4849 1.6754
H -0.2477 2.4748 4.7581
H -0.7567 4.0252 4.0670
H 0.9482 3.6897 4.3002
C -2.5560 2.4562 -3.1313
S -1.0888 2.6177 -2.1284
C -0.4137 4.0716 -2.9216
O -0.1672 1.4914 -2.5675
H -2.2495 2.3164 -4.1675
H -3.1579 3.3572 -3.0115
H -3.1032 1.5870 -2.7729
H -0.3955 3.9193 -4.0000
H 0.5990 4.1967 -2.5425
H -1.0215 4.9352 -2.6534
Cl -0.6423 -3.5798 -3.2047
Si -0.2047 -1.6088 -3.5148
Cl -1.8728 -0.7947 -4.3701
Cl 1.2844 -1.4443 -4.9079

Computed properties:
- highest occupied orbital energy (eV) = -10.216
- ΔE to the lowest compared entry with this formula, charge and spin (kcal/mol) = 3.7
- net charge = +1
- lowest unoccupied orbital energy (eV) = -3.56

***

[2]
C31H42BrGePdS3Si | ωB97M-V/def2-TZVPD

Positions of all 80 atoms, in Å:
Pd 0.7108 -2.8527 0.1584
S 3.4130 -5.1375 3.0953
C 2.4517 -4.2718 2.0548
S 2.9992 -3.4688 0.6317
S 0.7534 -4.0211 2.2523
C 1.3736 -5.5476 -5.5059
C 0.0570 -5.1087 -5.5047
C -0.3692 -4.1872 -4.5569
C 0.4966 -3.6834 -3.5867
C 1.8070 -4.1534 -3.5968
C 2.2483 -5.0644 -4.5441
Ge -0.0436 -2.3576 -2.1777
C 0.4114 -0.6574 -3.1567
C 1.0775 -0.5995 -4.3766
C 1.4162 0.6110 -4.9675
C 1.0875 1.8073 -4.3502
+++

Overall, money is not the unbalanced issue it once was.

Separately, the Media Fund, a Democratic interest group that has spent more than $20 million on anti-Bush ads this year, announced a $1.5 million donation to the New Democratic Network, which represents party centrists, for its ads. The network has spent more than $1 million of TV ads in those four states touting the Democratic agenda and criticizing Bush.
By the end of June, Kerry will have spent at least $60 million on TV ads since March.

Bush’s latest buys — $3.5 million over 12 days to run a new ad assailing Kerry in 18 states and $2.5 million to advertise on national cable networks in June — means the president will have spent at least $75 million during the same period.

Old Fashioned Politics Work

Now that Kerry has decided to accept the nomination at the convention, he’ll have to live with the monetary disadvantage of having to spend the same amount of funds as Bush (only Federal money can be spent by candidates during the general election campaign), but over a month longer time.

I’ve maintained before that money is becoming overrated in these national campaigns. There’s a law of diminishing returns. You can’t expect to flood the airwaves with ads without decreasing their effectiveness. People become jaded, bored and downright irritated by the ads. If Kerry spends wisely up to the convention and then focuses on getting out the vote, he can win – and win big.

Just today at breakfast with a statewide candidate here in Virginia, the candidate told me mailers in even local races are often counterproductive. As taught to us by Chap Petersen, Steve Shannon and others, an emphasis on old fashion retail politics of walking the district can mean victory.

Now comes a report from Harvard University’s JFK School of Government that retail politics may be more effective even for national campaigns. You can’t expect to knock on every door in the nation, of course, but local campaign stops and local earned media can be more effective than TV ads, according to the study that looked at the movement in Al Gore’s numbers as they related to campaign stops.

Thanks to the Daily Kos for pointing this out.

Now we just must make sure we get out the vote. If you know of anyone who may not vote this year, please take the time to convince them to get to the polls. That may be the best service anyone can donate to the cause.